About Eeyore

Canadian artist and counter-jihad and freedom of speech activist as well as devout Schrödinger's catholic

12 Replies to “Schools ban Halloween to avoid offending people who don’t celebrate Halloween”

  1. We have to remember that for over two generations now and maybe more, our teachers and persons in authority have gone through our ‘Left minded’ universities and colleges. These universities and colleges are of course full of ‘Left minded’, Marxists, Leninists, communists ‘brainiacs’. Their belief is well enshrined in our culture by now and the goal is to bring everyone down to a politically correct level of misery and poverty. Anyone who doesn’t see that is a fool.

  2. Careful of your assumptions here. My born-again neighbors did not celebrate halloween and made certain the local schools were made aware of their choice as well…hoping to have the classes her children attended would bend to avoid an uncomfortable situation for her children – successfully. That was during the early 1990’s. The Halloween festival became the harvest festival in 1994.
    These children were fair weather friends to my own . . .but it was quite the challenge given their children (when very young – under 6) actually searched for (satan’s)tails on my kids since they weren’t sharing the same faith.

    There are crazies in every faith that can impact social norms. Given that neighbors Bulgarian background, I often wonder how they feel with the tables turned on their family members with the influx of muhammedans inflicting their own brand of sensitivities.

  3. Vlad,
    when I was a child we we’ren’t allowed to go out and beg for sweets! This is a yank thing.
    It’s not british at all. You north amaericans may call me what you will, but we never begged for sweets. Beggining for sweets, really!

  4. Actually, I think there is a reverse (and covert) policy going on in Britain. Certain muslim enclaves have had publicly-funded “halloween festivals” in public parks. This has not been seen before in these areas in the preceding 20 years. It suggests that after 25 years of blabbing insincerely about multiculturalism, the authorities are now putting programmes in place to try to integrate muslims into traditional British festivities, such as Halloween (of course, only those festivities that have been denuded of any religious significance).

    It is a crazy sight, to see councils spending maybe $15,000 per park, in order to start putting on traditional festivals, when the native people totally abandoned an area, and the bearded mullahs are looking on in bemusement. Still, it makes a change from the previous years, when these parks were used to house 1,000 muslims (with women at the back) celebrating Eid, or to have “Islamic Relief” putting on festivals where anti-Israeli propaganda blared out, and collections were taken for the jihadist organisation “CagePrisoners”.

    This belated British attempt to acculturate a culture that refuses integration is, of course, doomed to failure.

  5. The mainstream culture is expected to destroy itself to avoid offending other cultures, they find noting wrong with offending the mainstream but want to protect the immigrants.

    Buck it is more blackmail then begging, you give them the treat so they don’t trick you, soap your windows or something else that is harmless. At least they are generally harmless these days, My father use to tell about sawing the seat in outhouses so the people fell into the slit trench, putting buggies or Model A’s on the school roof.

  6. Perhaps other people should also ban Islamic celebrations because it is offensive. I just wonder whether moslems find their own community childish behaviours or mass protest on the streets or islamic celebrations offensive? Islam is offensive and harmful, whereas, Halloween sounds fun and harmless.

  7. Why is it that the minority are ruling over the majority? when will people get the testicular fortitude to stand up and say “FUCK OFF”?
    I’m offended that animals get slaughtered by the hundreds iv’e complained to the powers that be yet nothing happens.
    I’m offended that i get told that I’m not allowed to fly the Australian flag and that its racist, once again nothing done.
    I’m offended that billions of taxpayers dollars are being spent on people that want nothing but too dominate their host country, nothing done

    But try and celebrate Xmas or Halloween and its deemed racist by the minority and its supported by the government purely by their silence.

  8. Here in Montreal, Hallowe’en is very popular. This year the only children who did not dress up at my school were jehovah’s witness. Even the muslim children dressed up as witches, superheroes and goblins. It was really an event yesterday afternoon. Adler and Sims are right. These people are joyless and jealous of happy people. We must fight against this ‘evil’, for that is what it is, and let them stew in their own juice’

  9. Will the government ban Eid celebrations, as the cruel and barbaric slaughter of animals is offensive to all civilized people?

Materials data that have nothing to do with the page =
- - -
Here is an optimized crystal structure of RbP4W8O32 from the Materials Project database. Energies are from PBE+U.

POSCAR file:
```
RbP4W8O32
1.0
-3.734 -6.192 -6.285
3.868 -7.064 -5.189
-1.707 -9.312 4.430
Rb P W O
1 4 8 32
Direct
0.500 0.500 0.000 Rb
0.621 0.023 0.116 P
0.379 0.977 0.884 P
0.977 0.379 0.884 P
0.023 0.621 0.116 P
0.618 0.120 0.411 W
0.382 0.880 0.589 W
0.880 0.382 0.589 W
0.120 0.618 0.411 W
0.358 0.859 0.240 W
0.642 0.141 0.760 W
0.141 0.642 0.760 W
0.859 0.358 0.240 W
0.610 0.120 0.213 O
0.390 0.880 0.787 O
0.880 0.390 0.787 O
0.120 0.610 0.213 O
0.804 0.804 0.134 O
0.196 0.196 0.866 O
0.456 0.018 0.152 O
0.544 0.982 0.848 O
0.982 0.544 0.848 O
0.018 0.456 0.152 O
0.622 0.622 0.219 O
0.378 0.378 0.781 O
0.630 0.630 0.600 O
0.370 0.370 0.400 O
0.891 0.891 0.760 O
0.109 0.109 0.240 O
0.370 0.861 0.418 O
0.630 0.139 0.582 O
0.139 0.630 0.582 O
0.861 0.370 0.418 O
0.358 0.877 0.033 O
0.642 0.123 0.967 O
0.123 0.642 0.967 O
0.877 0.358 0.033 O
0.734 0.255 0.304 O
0.266 0.745 0.696 O
0.745 0.266 0.696 O
0.255 0.734 0.304 O
0.500 0.000 0.500 O
0.000 0.500 0.500 O
0.873 0.873 0.399 O
0.127 0.127 0.601 O
```

Values from the calculation:
E ... -7.388 eV/atom
M_tot ... 4.999 μB/cell
Energy with MP2020 corrections ... -8.666 eV/atom
ΔH_f (0 K) ... -53.98 kcal/mol of atoms

Here is an optimized crystal structure of P3RhW2O15 from the Materials Project database. Energies are from PBE+U.

POSCAR file:
```
P3RhW2O15
1.0
-6.960 6.115 2.626
8.843 7.553 5.849
0.799 3.088 -19.681
P Rh W O
24 8 16 120
Direct
0.916 0.423 0.266 P
0.584 0.156 0.734 P
0.084 0.577 0.734 P
0.416 0.844 0.266 P
0.937 0.909 0.274 P
0.563 0.634 0.726 P
0.063 0.091 0.726 P
0.437 0.366 0.274 P
0.550 0.141 0.230 P
0.950 0.910 0.770 P
0.450 0.859 0.770 P
0.050 0.090 0.230 P
0.737 0.935 0.508 P
0.763 0.427 0.492 P
0.263 0.065 0.492 P
0.237 0.573 0.508 P
0.089 0.582 0.229 P
0.411 0.353 0.771 P
0.911 0.418 0.771 P
0.589 0.647 0.229 P
0.750 0.929 0.000 P
0.250 0.071 0.000 P
0.750 0.431 0.000 P
0.250 0.569 0.000 P
0.503 0.257 0.490 Rh
0.997 0.767 0.510 Rh
0.497 0.743 0.510 Rh
0.003 0.233 0.490 Rh
0.497 0.246 0.989 Rh
0.003 0.257 0.011 Rh
0.503 0.754 0.011 Rh
0.997 0.743 0.989 Rh
0.799 0.196 0.619 W
0.701 0.577 0.381 W
0.201 0.804 0.381 W
0.299 0.423 0.619 W
0.785 0.188 0.124 W
0.715 0.064 0.876 W
0.215 0.812 0.876 W
0.285 0.936 0.124 W
0.817 0.686 0.123 W
0.683 0.563 0.877 W
0.183 0.314 0.877 W
0.317 0.437 0.123 W
0.193 0.323 0.372 W
0.307 0.951 0.628 W
0.807 0.677 0.628 W
0.693 0.049 0.372 W
0.883 0.900 0.535 O
0.617 0.366 0.465 O
0.117 0.100 0.465 O
0.383 0.634 0.535 O
0.504 0.255 0.278 O
0.996 0.977 0.722 O
0.496 0.745 0.722 O
0.004 0.023 0.278 O
0.614 0.357 0.968 O
0.886 0.389 0.032 O
0.386 0.643 0.032 O
0.114 0.611 0.968 O
0.120 0.655 0.309 O
0.380 0.345 0.691 O
0.880 0.345 0.691 O
0.620 0.655 0.309 O
0.002 0.473 0.222 O
0.498 0.251 0.778 O
0.998 0.527 0.778 O
0.502 0.749 0.222 O
0.719 0.043 0.570 O
0.781 0.473 0.430 O
0.281 0.957 0.430 O
0.219 0.527 0.570 O
- - -

    Thought not.

  10. DP111 you’ve got it right
    But what i would like to know why is that the brutal celebrations continue unabated throughout the world ie Tatbir (cutting one’s head including babies) eid slaughters (includes halal) and nobody bats a eyelid
    Meanwhile peaceful celebrations ie Xmas, Easter, Halloween get banned at schools just to please the minority and is not defended by anyone even by those yellow belied snakes in government who seem to be supporting the savages.
    What is going to be done about it? better still WHEN is something going to be done about it.